Spellcraft Saturdays: Putting the “Craft” in “Spellcraft”
There are always a ton of people asking for spells, or asking someone else to cast a spell for them. Part of Witchcraft, however, is empowerment and empowering yourself to make changes in your own life.
So, I thought it might be a great idea to discuss how to craft your own spells! It is thought that creating your own spells is much more potent than using someone else’s spell, or a pre-written one because it has your time and energy put into it. Many believe that this enhances the energy of the spell. You can also tailor your spell more to your specific needs and beliefs, as well.
The fun thing about creating your spells is that, as you get more knowledgeable and confident in your personal Craft, you can embellish and change things more to suit your specific needs and beliefs, as well!
Here are some steps to crafting some basic spells of your very own!
Step 1: What is the goal?
You want to decide what you’re trying to accomplish with this spell. Are you looking for a job, or one that better suits your needs and time constraints? Are you trying to ramp up your own business? Maybe you need more self-love or confidence? Or are you trying to get a situation ruled in your favor?
Whatever the goal of the spell is, it is an important step. It’s better if you can be as specific about your goal as possible, too, as that will better help you decide on what method and correspondences you need for your spell, as well.
As an example, if you’re looking for a job, a candle spell may be your best bet. But if you’re looking to get a higher-paying job, a promotion at work, or for your resume and interview to stand out, a jar spell might work out better.
The ultimate goal will also determine which ingredients you use for your spell, as well.
Step 2: Ingredients
Many ingredients, namely herbs and crystals, have similar metaphysical properties, but each is slightly different and can be used to tailor your spell to your specific goals.
What will you need in order to cast the spell? What’s going to give it that extra “oomph” that will help you achieve your goal?
A fun aspect of crafting your spells is mixing and matching ingredients and correspondences. As a wonderful mentor has said in a few of her classes, you want as many things going for you when working a spell as possible.
Let’s look at that job spell again. Instead of just grabbing a candle and lighting it, why not look at color correspondences? For instance, green is typically associated with abundance, prosperity, growth, and luck. However, if you’re looking for a raise or promotion, you could also use gold, which is associated with success and financial increase.
And, instead of just grabbing a specifically colored candle and lighting it, why not dress it with an oil and herbs that are also geared towards your goal? You could get super wild with it and also have a couple of crystals nearby that can lend their energy to your spell, as well. Are you going to invoke any deities or spirits to assist you?
Step 3: Timing
Now, this is where people will tend to have some differing opinions. For some traditions, timing, especially the phase of the moon, is crucial to working a spell properly. So deciding when to do the spell may be super important for you.
Different moon phases, different days of the week, and even different times of the day all have different magickal correspondences that may assist or hinder your spell. Does that mean you *have* to wait to do your money working until a waxing or full moon that lands on a Sunday, Tuesday, or Wednesday, exactly as it hits the hour of Jupiter or the Sun? Not at all, no. But if you can time your spell to coincide with at least one of these correspondences, it is recommended in some traditions.
Many traditions say that after a few weeks–some even go as far as to say, specifically, 28 days, or a lunar month–it may be time to revisit the spell and see if anything needs to be changed. Once changes are made, feel free to cast the spell again.
Step 4: Wording
Wording can also be extremely important. It doesn’t have to be the next great masterpiece, but sometimes working out what you’re going to say before you do your spell, what spirits you’re going to call on, and how you’re going to call them can all help, as well.
The wording can be as complex or as simple as you like, or you may opt to not say anything at all.
[Quantum chemistry results, as found in the file]
+++
[1]
26
Properties=species:S:1:pos:R:3:forces:R:3 method="wB97M-V/def2-TZVPD" homo_lumo_gap_ev="6.466 / 4.018" multiplicity=2 charge=+2 e_lumo_ev="-9.253 / -11.703"
N -3.11653 0.45663 2.96031 1.05 0.50 -1.11
Cu -0.04363 0.14338 0.05104 0.17 -0.31 -0.59
H -3.15353 -0.90455 4.50752 0.19 -0.21 -0.12
H -3.67136 1.20010 3.37198 0.10 -0.41 -0.02
C 3.03727 0.16237 -3.79691 0.01 -0.10 0.22
C -0.60028 1.04606 -1.63943 -4.64 3.23 -3.65
C -3.32121 -0.88717 3.42880 -0.49 -0.52 0.55
O 1.84371 -1.67123 1.66335 -1.00 2.55 -3.79
O -1.32353 1.57300 -2.37125 3.52 -2.36 2.93
O -1.48399 0.01497 1.41401 0.83 -0.23 -0.68
H 4.47607 -0.12005 -2.25343 -0.23 -0.12 -0.27
C 1.48564 -1.01415 0.78805 1.37 -3.38 4.99
H 3.14762 1.24993 -3.85382 0.01 -0.38 0.03
H -1.61320 2.60445 1.13362 -0.29 0.11 0.25
O 1.88046 2.40473 0.62904 -2.13 -3.85 -2.52
C -2.23535 0.83233 2.01665 -1.42 1.16 1.19
H -4.37093 -1.14544 3.27509 0.17 -0.25 -0.15
H 2.35867 -0.29691 -4.52277 0.27 0.12 0.25
H 3.68769 -1.66686 -2.92355 0.02 0.38 -0.05
O -0.85366 -2.47719 -1.39740 2.55 4.18 0.70
H -2.66056 -1.59389 2.91763 -0.22 0.28 0.14
C 1.32024 1.52267 0.13547 2.99 5.36 3.26
C -0.31637 -1.48691 -1.14775 -3.28 -5.53 -0.94
N -2.25099 2.17166 1.78228 0.26 -0.66 -0.15
C 3.75147 -0.57402 -2.93705 -0.21 0.12 -0.03
H -2.88988 2.72498 2.34001 0.41 0.30 -0.45


[2]
23
Properties=species:S:1:pos:R:3:forces:R:3 method="wB97M-V/def2-TZVPD" homo_lumo_gap_ev="6.923 / 6.964" smiles="C=[S@@](=O)(I)[C@@H]1CC(C=O)=CC[C@@H]1F" e_lumo_ev="-1.746 / -1.757"
H -0.67432 -0.19587 -2.84977 -1.89 -1.24 -1.79
H -3.04564 2.65042 -0.04171 -0.14 0.17 0.78
H -1.10054 -0.34188 1.44211 1.17 -0.04 -0.13
H 0.47507 0.93118 -2.60215 -1.35 -0.46 1.60
C -1.35882 1.17021 -1.26819 -2.47 1.23 -1.47
C 2.67100 -2.02767 0.27972 -4.78 -1.15 2.71
S 1.48499 -1.41404 1.32658 3.41 2.58 -3.46
C -0.36310 0.33454 -2.02759 3.60 0.93 1.22
H 1.41139 0.66451 0.01574 1.90 1.38 -0.13
H 3.40860 -1.36295 0.18769 3.24 2.05 -0.82
F -0.54583 -1.74483 -0.82914 -1.66 -0.57 0.31
C -1.61515 1.10890 0.04648 3.67 -0.76 -0.28
C -2.55429 2.01900 0.75071 -0.73 -0.40 -1.31
C 0.73857 -0.10400 0.16675 -2.21 -1.40 1.98
H -0.41789 1.21122 1.57133 1.55 1.03 1.70
C 0.33746 -0.74321 -1.13023 0.95 -0.55 -0.73
H -2.06130 1.84485 -1.90531 1.29 -1.17 0.95
H 1.15918 -1.42740 -1.53214 -0.44 2.09 -0.23
I 2.11450 0.39256 3.29228 -0.03 -0.62 -0.56
H 2.65689 -3.08230 0.40471 0.98 -0.79 -0.03
O 0.57722 -2.33075 1.86855 -2.11 -1.73 1.12
O -2.82650 2.03511 1.92429 0.47 0.07 -0.54
C -0.47148 0.41241 0.90930 -4.42 -0.65 -0.89


[3]
24
Properties=species:S:1:pos:R:3:forces:R:3 method="wB97M-V/def2-TZVPD" homo_lumo_gap_ev="7.132 / 7.133" charge=+2 e_lumo_ev="-8.826 / -8.825"
H 2.65559 -0.32507 -1.97815 -1.11 -0.44 0.90
N -3.57226 -1.70018 1.63020 0.61 -0.94 -2.66
H 0.95741 -0.99660 -2.12119 0.03 -0.25 -0.07
H 2.24024 3.50702 -1.57941 0.10 0.00 -0.59
C 0.36136 -0.05618 0.20435 -3.49 -2.93 -0.37
N 2.01934 2.52547 -1.72233 -1.84 -2.55 1.84
C 1.54377 0.83156 -3.18907 -0.62 0.28 1.65
+++
Final Tips
Other than the four steps above, you may want to determine where you’ll be doing your spell, if you’ll be casting Circle, and how you’ll be raising, releasing, and grounding your energy.
Another crucial tip is not only to write down the actual components of the spell itself, but to also write down a way to track when you do the spell, if and how long it takes to manifest, how it manifested, etc. Writing the spell down will keep you organized, and you won’t have to use as much of your energy trying to remember the spell components. But how are you supposed to know if and how well the spell worked, if you don’t keep a record of the effects and how long it took to manifest? Or if it manifested at all?
Writing down what you did and how you did it will also give you a great starting point for what you may need to tweak if your spell does not manifest.
My Book of Shadows, where I keep track of everything, is literally just a huge, pretty binder and loose-leaf notebook paper. That way I can rearrange things as needed, and I can add to it without really needing to go out and get another notebook to write in. At least, for now.
Other tips include being extremely specific about your goal, but also being careful of what you wish for. Always go into a working with the mindset of it working — meaning, make sure you are absolutely sure that the goal is what you want, and that you are very clear on exactly what you want.
I hope you find this “starter guide” helpful!
Please feel free to share any other tips and tricks for writing your own spells in the comments! Blessed be!